### Exercise
It remains to reproduce everything underneath word for word.
### Given
____________
[1]
Molecular formula: C36H70N6O17P3S3
Method: DFT, ωB97M-V/def2-TZVPD

Properties
ΔE to the lowest compared entry with this formula, charge and spin ... 0.0 kJ/mol
Electronic energy ... -142573.911 eV
Total charge ... +1
M ... 1048.10 Da
Spin multiplicity ... 1
Gap between HOMO and LUMO ... 0.2051 Ha
HOMO energy ... -10.5 eV
Maximum force ... 0.1713 Eh/bohr

Each line ends with the Löwdin charge.
CARTESIAN COORDINATES (ANGSTROEM)
C: 6.242 2.453 5.738  0.02
C: 5.237 1.244 5.679  -0.47
O: 4.414 1.182 6.566  0.08
O: 5.328 0.271 4.675  -0.02
C: 4.042 -0.373 4.559  -0.20
C: 3.898 -1.252 3.256  -0.10
C: 2.597 -2.154 3.455  -0.15
N: 1.400 -1.578 2.707  -0.02
C: 1.370 -2.355 1.420  -0.18
C: 0.207 -1.923 0.457  -0.21
C: 0.422 -0.502 -0.206  -0.51
S: 0.880 -0.582 -1.990  0.87
C: 1.211 1.152 -2.398  -0.97
S: 0.205 2.308 -1.744  0.69
N: 2.296 1.588 -3.218  -0.16
C: 2.296 2.856 -3.782  -0.12
C: 3.513 3.057 -4.558  -0.07
N: 4.180 1.815 -4.385  0.02
C: 3.507 0.960 -3.598  -0.13
C: 0.243 -1.906 3.491  -0.24
N: -0.340 -3.238 3.505  0.05
N: 0.370 -4.056 4.473  0.03
C: -0.079 -3.848 5.623  -0.65
S: -0.369 -3.122 7.028  0.80
N: -0.326 -0.993 4.233  0.18
C: 0.122 0.405 4.391  0.02
C: -0.401 1.383 3.277  -0.35
O: 0.098 1.419 2.186  0.15
O: -1.456 2.295 3.527  0.06
C: -0.858 3.595 3.373  -0.42
C: -0.884 4.367 1.995  0.02
O: -0.329 4.155 4.288  0.15
H: 5.701 3.437 5.782  0.10
H: 6.767 2.357 6.733  0.10
H: 6.958 2.390 4.877  0.09
H: 3.268 0.441 4.488  0.12
H: 3.887 -1.030 5.463  0.14
H: 3.861 -0.653 2.310  0.13
H: 4.802 -1.921 3.225  0.13
H: 2.877 -3.162 3.025  0.13
H: 2.373 -2.346 4.539  0.12
H: 2.339 -2.228 0.861  0.15
H: 1.250 -3.465 1.597  0.12
H: -0.797 -1.899 0.980  0.11
H: 0.084 -2.673 -0.379  0.11
H: 1.300 -0.020 0.318  0.08
H: -0.467 0.145 -0.003  0.05
H: 1.557 3.680 -3.760  0.10
H: 3.794 3.965 -5.125  0.11
H: 3.807 -0.064 -3.301  0.12
H: -1.316 -3.213 3.823  0.13
H: -1.150 -1.273 4.776  0.15
H: 1.225 0.539 4.486  0.13
H: -0.320 0.770 5.365  0.14
H: 0.128 4.348 1.500  0.10
H: -1.648 3.850 1.358  0.09
H: -1.154 5.448 2.137  0.10
O: -2.758 -4.907 -1.660  -0.24
P: -3.166 -6.347 -1.889  0.66
O: -4.726 -6.251 -1.362  -0.22
C: -5.674 -5.550 -2.157  -0.29
C: -5.947 -6.257 -3.472  -0.08
O: -2.475 -6.983 -0.526  -0.21
C: -1.483 -6.250 0.179  -0.30
C: -2.104 -5.346 1.230  -0.08
O: -3.449 -7.954 -2.355  -0.19
C: -3.005 -8.341 -3.660  -0.29
C: -1.570 -7.944 -3.943  -0.08
H: -5.332 -4.525 -2.331  0.11
H: -6.596 -5.497 -1.577  0.12
H: -5.089 -6.159 -4.145  0.06
H: -6.812 -5.819 -3.974  0.08
H: -6.131 -7.320 -3.316  0.09
H: -0.855 -5.690 -0.516  0.10
H: -0.829 -6.975 0.670  0.12
H: -2.972 -4.804 0.857  0.07
H: -1.370 -4.620 1.592  0.04
H: -2.454 -5.937 2.081  0.08
H: -3.671 -7.910 -4.412  0.10
H: -3.105 -9.426 -3.724  0.13
H: -1.439 -6.854 -3.914  0.07
H: -1.269 -8.289 -4.934  0.09
H: -0.895 -8.373 -3.200  0.09
O: -5.274 1.355 5.980  -0.22
P: -5.153 0.363 7.115  0.65
O: -6.099 1.128 8.224  -0.21
C: -7.506 1.160 8.017  -0.29
C: -8.130 -0.218 8.134  -0.08
O: -3.667 0.846 7.664  -0.22
C: -2.818 1.640 6.839  -0.31
C: -3.075 3.123 7.030  -0.05
O: -4.991 -0.946 8.190  -0.19
C: -5.182 -2.254 7.647  -0.29
C: -4.384 -2.478 6.378  -0.09
H: -7.731 1.606 7.044  0.11
H: -7.924 1.813 8.785  0.12
H: -7.867 -0.833 7.267  0.06
H: -9.219 -0.148 8.172  0.08
H: -7.780 -0.734 9.029  0.09
H: -2.919 1.345 5.791  0.08
H: -1.785 1.415 7.127  0.11
H: -4.137 3.363 7.046  0.08
H: -2.599 3.700 6.233  0.07
H: -2.669 3.457 7.988  0.08
H: -6.245 -2.422 7.459  0.10
H: -4.872 -2.970 8.409  0.13
H: -4.690 -1.789 5.581  0.07
H: -4.528 -3.497 6.011  0.09
H: -3.319 -2.314 6.560  0.04
O: 3.968 5.920 -11.520  -0.22
P: 4.605 5.779 -10.156  0.65
O: 3.290 5.225 -9.324  -0.22
C: 2.833 3.904 -9.573  -0.30
C: 3.827 2.860 -9.099  -0.08
O: 4.532 7.370 -9.718  -0.22
C: 4.330 8.381 -10.704  -0.30
C: 2.853 8.651 -10.932  -0.08
O: 5.546 5.557 -8.757  -0.20
C: 6.802 4.890 -8.919  -0.30
C: 7.639 5.463 -10.047  -0.08
H: 2.614 3.776 -10.638  0.11
H: 1.896 3.785 -9.026  0.12
H: 4.703 2.839 -9.756  0.06
____________
### Solution
[1]
Molecular formula: C36H70N6O17P3S3
Method: DFT, ωB97M-V/def2-TZVPD

Properties
ΔE to the lowest compared entry with this formula, charge and spin ... 0.0 kJ/mol
Electronic energy ... -142573.911 eV
Total charge ... +1
M ... 1048.10 Da
Spin multiplicity ... 1
Gap between HOMO and LUMO ... 0.2051 Ha
HOMO energy ... -10.5 eV
Maximum force ... 0.1713 Eh/bohr

Each line ends with the Löwdin charge.
CARTESIAN COORDINATES (ANGSTROEM)
C: 6.242 2.453 5.738  0.02
C: 5.237 1.244 5.679  -0.47
O: 4.414 1.182 6.566  0.08
O: 5.328 0.271 4.675  -0.02
C: 4.042 -0.373 4.559  -0.20
C: 3.898 -1.252 3.256  -0.10
C: 2.597 -2.154 3.455  -0.15
N: 1.400 -1.578 2.707  -0.02
C: 1.370 -2.355 1.420  -0.18
C: 0.207 -1.923 0.457  -0.21
C: 0.422 -0.502 -0.206  -0.51
S: 0.880 -0.582 -1.990  0.87
C: 1.211 1.152 -2.398  -0.97
S: 0.205 2.308 -1.744  0.69
N: 2.296 1.588 -3.218  -0.16
C: 2.296 2.856 -3.782  -0.12
C: 3.513 3.057 -4.558  -0.07
N: 4.180 1.815 -4.385  0.02
C: 3.507 0.960 -3.598  -0.13
C: 0.243 -1.906 3.491  -0.24
N: -0.340 -3.238 3.505  0.05
N: 0.370 -4.056 4.473  0.03
C: -0.079 -3.848 5.623  -0.65
S: -0.369 -3.122 7.028  0.80
N: -0.326 -0.993 4.233  0.18
C: 0.122 0.405 4.391  0.02
C: -0.401 1.383 3.277  -0.35
O: 0.098 1.419 2.186  0.15
O: -1.456 2.295 3.527  0.06
C: -0.858 3.595 3.373  -0.42
C: -0.884 4.367 1.995  0.02
O: -0.329 4.155 4.288  0.15
H: 5.701 3.437 5.782  0.10
H: 6.767 2.357 6.733  0.10
H: 6.958 2.390 4.877  0.09
H: 3.268 0.441 4.488  0.12
H: 3.887 -1.030 5.463  0.14
H: 3.861 -0.653 2.310  0.13
H: 4.802 -1.921 3.225  0.13
H: 2.877 -3.162 3.025  0.13
H: 2.373 -2.346 4.539  0.12
H: 2.339 -2.228 0.861  0.15
H: 1.250 -3.465 1.597  0.12
H: -0.797 -1.899 0.980  0.11
H: 0.084 -2.673 -0.379  0.11
H: 1.300 -0.020 0.318  0.08
H: -0.467 0.145 -0.003  0.05
H: 1.557 3.680 -3.760  0.10
H: 3.794 3.965 -5.125  0.11
H: 3.807 -0.064 -3.301  0.12
H: -1.316 -3.213 3.823  0.13
H: -1.150 -1.273 4.776  0.15
H: 1.225 0.539 4.486  0.13
H: -0.320 0.770 5.365  0.14
H: 0.128 4.348 1.500  0.10
H: -1.648 3.850 1.358  0.09
H: -1.154 5.448 2.137  0.10
O: -2.758 -4.907 -1.660  -0.24
P: -3.166 -6.347 -1.889  0.66
O: -4.726 -6.251 -1.362  -0.22
C: -5.674 -5.550 -2.157  -0.29
C: -5.947 -6.257 -3.472  -0.08
O: -2.475 -6.983 -0.526  -0.21
C: -1.483 -6.250 0.179  -0.30
C: -2.104 -5.346 1.230  -0.08
O: -3.449 -7.954 -2.355  -0.19
C: -3.005 -8.341 -3.660  -0.29
C: -1.570 -7.944 -3.943  -0.08
H: -5.332 -4.525 -2.331  0.11
H: -6.596 -5.497 -1.577  0.12
H: -5.089 -6.159 -4.145  0.06
H: -6.812 -5.819 -3.974  0.08
H: -6.131 -7.320 -3.316  0.09
H: -0.855 -5.690 -0.516  0.10
H: -0.829 -6.975 0.670  0.12
H: -2.972 -4.804 0.857  0.07
H: -1.370 -4.620 1.592  0.04
H: -2.454 -5.937 2.081  0.08
H: -3.671 -7.910 -4.412  0.10
H: -3.105 -9.426 -3.724  0.13
H: -1.439 -6.854 -3.914  0.07
H: -1.269 -8.289 -4.934  0.09
H: -0.895 -8.373 -3.200  0.09
O: -5.274 1.355 5.980  -0.22
P: -5.153 0.363 7.115  0.65
O: -6.099 1.128 8.224  -0.21
C: -7.506 1.160 8.017  -0.29
C: -8.130 -0.218 8.134  -0.08
O: -3.667 0.846 7.664  -0.22
C: -2.818 1.640 6.839  -0.31
C: -3.075 3.123 7.030  -0.05
O: -4.991 -0.946 8.190  -0.19
C: -5.182 -2.254 7.647  -0.29
C: -4.384 -2.478 6.378  -0.09
H: -7.731 1.606 7.044  0.11
H: -7.924 1.813 8.785  0.12
H: -7.867 -0.833 7.267  0.06
H: -9.219 -0.148 8.172  0.08
H: -7.780 -0.734 9.029  0.09
H: -2.919 1.345 5.791  0.08
H: -1.785 1.415 7.127  0.11
H: -4.137 3.363 7.046  0.08
H: -2.599 3.700 6.233  0.07
H: -2.669 3.457 7.988  0.08
H: -6.245 -2.422 7.459  0.10
H: -4.872 -2.970 8.409  0.13
H: -4.690 -1.789 5.581  0.07
H: -4.528 -3.497 6.011  0.09
H: -3.319 -2.314 6.560  0.04
O: 3.968 5.920 -11.520  -0.22
P: 4.605 5.779 -10.156  0.65
O: 3.290 5.225 -9.324  -0.22
C: 2.833 3.904 -9.573  -0.30
C: 3.827 2.860 -9.099  -0.08
O: 4.532 7.370 -9.718  -0.22
C: 4.330 8.381 -10.704  -0.30
C: 2.853 8.651 -10.932  -0.08
O: 5.546 5.557 -8.757  -0.20
C: 6.802 4.890 -8.919  -0.30
C: 7.639 5.463 -10.047  -0.08
H: 2.614 3.776 -10.638  0.11
H: 1.896 3.785 -9.026  0.12
H: 4.703 2.839 -9.756  0.06